[What to do]
The reader should copy the lines further below up to the one that holds "12.746", that line included.

[Excerpt]
┌──
Ho4CrSe7 PBE optimized geometry; symmetry = Cm (8); VASP energy = -5.925 eV per atom; mass density = 7.078 Mg/m³; ΔE_f = -1829 meV/atom
1.0
6.512 -1.983 0.000
6.512 1.983 0.000
-3.206 0.000 11.486
Ho Cr Se
4 1 7
Cartesian
0.000 0.000 0.000
3.134 0.000 6.830
6.418 0.000 4.092
6.488 0.000 9.193
9.841 0.000 2.506
-1.938 0.000 8.519
1.699 0.000 3.298
1.956 0.000 9.694
5.025 0.000 1.665
8.560 0.000 0.266
7.643 0.000 6.639
10.957 0.000 4.914

CrI2 PBE optimized geometry; symmetry = Cmc2_1 (36); VASP energy = -4.530 eV per atom; mass density = 4.361 Mg/m³; ΔE_f = -549 meV/atom
1.0
1.976 -4.021 0.000
1.976 4.021 0.000
0.000 0.000 14.657
Cr I
2 4
Cartesian
1.976 2.375 7.329
1.976 -2.375 0.000
1.976 2.341 1.756
1.976 0.698 13.022
1.976 -0.698 5.693
1.976 -2.341 9.085

CrI2 PBE optimized geometry; symmetry = C2/m (12); VASP energy = -4.538 eV per atom; mass density = 4.470 Mg/m³; ΔE_f = -557 meV/atom
1.0
3.935 -1.973 0.000
3.935 1.973 0.000
-3.472 0.000 7.314
Cr I
1 2
Cartesian
0.000 0.000 0.000
-0.522 0.000 5.681
4.920 0.000 1.633

CrI2 PBE optimized geometry; symmetry = P6_3mc (186); VASP energy = -4.516 eV per atom; mass density = 4.848 Mg/m³; ΔE_f = -535 meV/atom
1.0
4.101 0.000 0.000
-2.051 3.552 0.000
0.000 0.000 14.380
Cr I
2 4
Cartesian
0.000 2.368 0.000
2.051 1.184 7.190
0.000 0.000 5.555
0.000 0.000 12.746
0.000 2.368 8.814
2.051 1.184 1.624

CrI3 PBE optimized geometry; symmetry = P3_112 (151); VASP energy = -3.995 eV per atom; mass density = 4.739 Mg/m³; ΔE_f = -723 meV/atom
1.0
7.008 0.000 0.000
-3.504 6.069 0.000
0.000 0.000 21.394
Cr I
6 18
Cartesian
1.162 0.671 0.000
0.000 2.699 14.263
-1.166 4.719 7.131
1.166 4.719 0.000
5.846 0.671 7.131
3.504 4.727 14.263
1.081 0.519 5.562
0.990 0.677 15.832
-0.178 2.696 8.699
-1.258 4.567 12.695
0.178 2.696 19.826
-1.080 4.875 1.568
3.412 0.517 19.820
2.154 2.697 1.574
3.595 0.517 8.705
2.246 2.855 12.689
1.258 4.567 15.831
1.080 4.875 5.563
5.926 0.519 1.569
3.413 4.873 19.825
6.018 0.677 12.693
4.853 2.697 5.558
4.762 2.855 15.837
3.595 4.873 8.701

Mn2CrI6 PBE optimized geometry; symmetry = C2/m (12); VASP energy = -4.520 eV per atom; mass density = 4.714 Mg/m³; ΔE_f = -648 meV/atom
1.0
3.654 -2.044 0.000
3.654 2.044 0.000
-0.674 0.000 21.775
Mn Cr I
2 1 6
Cartesian
0.990 0.000 7.247
5.644 0.000 14.528
3.654 0.000 0.000
1.015 0.000 1.627
0.794 0.000 12.865
3.446 0.000 5.582
3.188 0.000 16.193
5.839 0.000 8.910
5.618 0.000 20.147

CrIn3 PBE optimized geometry; symmetry = R-3m (166); VASP energy = -4.091 eV per atom; mass density = 7.638 Mg/m³; ΔE_f = 386 meV/atom
1.0
1.555 0.898 10.283
-1.555 0.898 10.283
0.000 -1.796 10.283
Cr In
1 3
Cartesian
0.000 0.000 0.000
0.000 0.000 8.138
0.000 0.000 15.425
0.000 0.000 22.711

CrIn3 PBE optimized geometry; symmetry = P6_3/mmc (194); VASP energy = -4.169 eV per atom; mass density = 7.347 Mg/m³; ΔE_f = 308 meV/atom
1.0
6.225 0.000 0.000
-3.113 5.391 0.000
0.000 0.000 5.339
Cr In
2 6
Cartesian
0.000 3.594 1.335
3.113 1.797 4.004
0.000 1.834 4.004
-1.525 4.474 4.004
1.588 0.917 1.335
1.525 4.474 4.004
4.637 0.917 1.335
3.113 3.558 1.335

LiCr4InS8 PBE optimized geometry; symmetry = R3m (160); VASP energy = -6.141 eV per atom; mass density = 3.654 Mg/m³; ΔE_f = -974 meV/atom; ΔE to the lowest computed polymorph = 0.100 eV/atom
1.0
3.569 2.061 6.037
-3.569 2.061 6.037
0.000 -4.122 6.037
Li Cr In S
1 4 1 8
Cartesian
0.000 0.000 0.000
0.000 -2.126 9.823
-1.841 1.063 9.823
0.000 0.000 13.531
1.841 1.063 9.823
0.000 0.000 6.720
0.000 -1.976 5.072
-1.711 0.988 5.072
0.000 0.000 2.491
-1.734 -1.001 8.469
1.711 0.988 5.072
0.000 0.000 11.143
1.734 -1.001 8.469
0.000 2.002 8.469

LiCr4InS8 PBE optimized geometry; symmetry = F-43m (216); VASP energy = -6.241 eV per atom; mass density = 3.641 Mg/m³; ΔE_f = -1074 meV/atom; ΔE to the lowest computed polymorph = 0.000 eV/atom
1.0
0.000 5.113 5.113
5.113 0.000 5.113
5.113 5.113 0.000
Li Cr In S
1 4 1 8
Cartesian
0.000 0.000 0.000
6.440 3.787 3.787
3.787 6.440 3.787
3.787 3.787 6.440
6.440 6.440 6.440
└──

[Outcome]
Ho4CrSe7 PBE optimized geometry; symmetry = Cm (8); VASP energy = -5.925 eV per atom; mass density = 7.078 Mg/m³; ΔE_f = -1829 meV/atom
1.0
6.512 -1.983 0.000
6.512 1.983 0.000
-3.206 0.000 11.486
Ho Cr Se
4 1 7
Cartesian
0.000 0.000 0.000
3.134 0.000 6.830
6.418 0.000 4.092
6.488 0.000 9.193
9.841 0.000 2.506
-1.938 0.000 8.519
1.699 0.000 3.298
1.956 0.000 9.694
5.025 0.000 1.665
8.560 0.000 0.266
7.643 0.000 6.639
10.957 0.000 4.914

CrI2 PBE optimized geometry; symmetry = Cmc2_1 (36); VASP energy = -4.530 eV per atom; mass density = 4.361 Mg/m³; ΔE_f = -549 meV/atom
1.0
1.976 -4.021 0.000
1.976 4.021 0.000
0.000 0.000 14.657
Cr I
2 4
Cartesian
1.976 2.375 7.329
1.976 -2.375 0.000
1.976 2.341 1.756
1.976 0.698 13.022
1.976 -0.698 5.693
1.976 -2.341 9.085

CrI2 PBE optimized geometry; symmetry = C2/m (12); VASP energy = -4.538 eV per atom; mass density = 4.470 Mg/m³; ΔE_f = -557 meV/atom
1.0
3.935 -1.973 0.000
3.935 1.973 0.000
-3.472 0.000 7.314
Cr I
1 2
Cartesian
0.000 0.000 0.000
-0.522 0.000 5.681
4.920 0.000 1.633

CrI2 PBE optimized geometry; symmetry = P6_3mc (186); VASP energy = -4.516 eV per atom; mass density = 4.848 Mg/m³; ΔE_f = -535 meV/atom
1.0
4.101 0.000 0.000
-2.051 3.552 0.000
0.000 0.000 14.380
Cr I
2 4
Cartesian
0.000 2.368 0.000
2.051 1.184 7.190
0.000 0.000 5.555
0.000 0.000 12.746